
Wow, didn't realize it has already been a year since I been on here. I have a lot of thing changing in my life! I'm a mother now and very proud of my little one. I'm also now working at multiple jobs making it very hard to keep up with anything in my life, but willing to keep trying to write while in my free time. Hopefully I haven't lost a lot of people due to being absent for so long.


@Coocoobird1100 Wow, congradulations on being on here, and your little one, they are so precious, time flies though, good luck with the little one, congradulations again, will be waiting to read more of what you write


Wow, didn't realize it has already been a year since I been on here. I have a lot of thing changing in my life! I'm a mother now and very proud of my little one. I'm also now working at multiple jobs making it very hard to keep up with anything in my life, but willing to keep trying to write while in my free time. Hopefully I haven't lost a lot of people due to being absent for so long.


@Coocoobird1100 Wow, congradulations on being on here, and your little one, they are so precious, time flies though, good luck with the little one, congradulations again, will be waiting to read more of what you write


Ok, so I know I haven't been on here a lot. I'm a grown adult who is a workaholic. I'm trying very hard to keep updating my things as possible. I am currently done working at Dead End Hayride and now on a family vacation. Hoping to get more stuff done.

Crystal structures, kept here for reference =
<<<
No. 1
Computed, not measured: an optimized crystal structure of HoLuGaCu at the GGA-PBE level of DFT.

- ΔH_f (0 K): -0.44 eV per atom

```
data_HoLuGaCu
_chemical_formula_sum 'Ho4 Lu4 Ga4 Cu4'
_cell_length_a 6.975
_cell_length_b 6.975
_cell_length_c 6.975
_cell_angle_alpha 90.00
_cell_angle_beta 90.00
_cell_angle_gamma 90.00
_space_group_name_H-M_alt 'F -4 3 m'
_space_group_IT_number 216
_space_group_name_Hall 'F -4 2 3'
loop_
_atom_site_label
_atom_site_fract_x
_atom_site_fract_y
_atom_site_fract_z
Ho1 0.000 0.000 0.000
Lu1 0.000 0.000 0.500
Ga1 0.250 0.250 0.250
Cu1 0.250 0.250 0.750
```


No. 2
Computed, not measured: an optimized crystal structure of Mg5Hg4Pd at the GGA-PBE level of DFT.

- ΔH_f (0 K): -0.33 eV per atom

```
data_Mg5Hg4Pd
_chemical_formula_sum 'Mg5 Hg4 Pd1'
_cell_length_a 3.343
_cell_length_b 3.343
_cell_length_c 17.995
_cell_angle_alpha 90.00
_cell_angle_beta 90.00
_cell_angle_gamma 90.00
_space_group_name_H-M_alt 'P 4/m m m'
_space_group_IT_number 123
_space_group_name_Hall '-P 4 2'
loop_
_atom_site_label
_atom_site_fract_x
_atom_site_fract_y
_atom_site_fract_z
Mg1 0.000 0.000 0.000
Mg2 0.000 0.000 0.211
Mg3 0.000 0.000 0.418
Hg1 0.500 0.500 0.105
Hg2 0.500 0.500 0.316
Pd1 0.500 0.500 0.500
```


No. 3
Computed, not measured: an optimized crystal structure of Pm2Si2Ag at the GGA-PBE level of DFT.

- Excess energy over the best structure of this formula in the dataset: 0.0 kJ/mol of atoms
- ΔE_f (raw): -0.62 eV/atom

```
data_Pm2Si2Ag
_chemical_formula_sum 'Pm8 Si8 Ag4'
_cell_length_a 10.979
_cell_length_b 4.387
_cell_length_c 10.486
_cell_angle_alpha 90.00
_cell_angle_beta 118.10
_cell_angle_gamma 90.00
_space_group_name_H-M_alt 'C 1 2/m 1'
_space_group_IT_number 12
loop_
_space_group_symop_operation_xyz
'x,y,z'
'-x,-y,-z'
'-x,y,-z'
'x,-y,z'
'x+1/2,y+1/2,z'
'-x+1/2,-y+1/2,-z'
'-x+1/2,y+1/2,-z'
'x+1/2,-y+1/2,z'
loop_
_atom_site_label
_atom_site_fract_x
_atom_site_fract_y
_atom_site_fract_z
Pm1 0.003 0.000 0.322
Pm2 0.189 0.000 0.102
Si1 0.018 0.500 0.892
Si2 0.126 0.500 0.567
Ag1 0.225 0.500 0.361
```


No. 4
Computed, not measured: an optimized crystal structure of UAlCo at the GGA-PBE level of DFT.

- ΔH_f (0 K): -0.31 eV per atom

```
data_UAlCo
_chemical_formula_sum 'U3 Al3 Co3'
_cell_length_a 6.5576
_cell_length_b 6.5576
_cell_length_c 4.0119
_cell_angle_alpha 90.00
_cell_angle_beta 90.00
_cell_angle_gamma 120.00
_space_group_name_H-M_alt 'P -6 2 m'
_space_group_IT_number 189
_space_group_name_Hall 'P -6 -2'
loop_
_atom_site_label
_atom_site_fract_x
_atom_site_fract_y
_atom_site_fract_z
U1 0.0000 0.5753 0.0000
Al1 0.0000 0.2354 0.5000
Co1 0.0000 0.0000 0.0000
Co2 0.3333 0.6667 0.5000
```


No. 5
Computed, not measured: an optimized crystal structure of AlSi4W at the GGA-PBE level of DFT.

- ΔE_f (raw): 0.45 eV/atom

```
data_AlSi4W
_chemical_formula_sum 'Al4 Si16 W4'
_cell_length_a 6.947
_cell_length_b 6.947
_cell_length_c 6.947
_cell_angle_alpha 90.00
_cell_angle_beta 90.00
_cell_angle_gamma 90.00
>>>
Here the text continues =


Oh my gosh you guys! I didn't even realize I haven't been on here for a year! I mean I have to keep writing, but haven't published anything for over a year. I'm so sorry! I plan on doing updates, just trying to figure things out with my life.


Hello! I've gain quick a few followers, so welcome to my world of madness. Looking at my previous posts, I haven't posted since January, which is quite sad for me. To start off, I have been doing quite a lot in my acting thing, I've been a movie extra for a movie called House Of Tomorrow (reading the book as well), and now I am in a play in Hugo called Disney Villains. Since I've been busy, I haven't done much writing, but I have plenty of time right now because of the play thing. I only work once a week as of right now, so I have plenty of time to write and finish painting my room. What have you been up to?


I won't be able to update for a while. I got accepted by iPOP! (International Presentation of Performers), and I need to save for this. I would appreciate it if you could help me raise money on there is more information on there about the whole situation. Spread the news and help, it is greatly appreciated.

**Next to the entry, the page also holds calculated crystals**
+++
No. 1
Entry from Alexandria via LeMat-Bulk: crystalline CsLiMoCl6 at its relaxed geometry (GGA-PBE).

abc: 6.5704 6.5704 7.7964
angles: 90.00 90.00 120.00
Atoms (fractional coordinates):
Cs  0.0000  0.0000  0.0000
Li  0.3333  0.6667  0.5000
Mo  0.6667  0.3333  0.5000
Cl  0.3825  0.0215  0.6779
Cl  0.3825  0.3609  0.3221
Cl  0.6391  0.0215  0.3221
Cl  0.6391  0.6175  0.6779
Cl  0.9785  0.3609  0.6779
Cl  0.9785  0.6175  0.3221

Values from the calculation:
- M_tot (μB per formula unit) = 2.00
- SG = P312
- calculated volume (Å³/atom) = 32.39
- E_form (uncorrected) (eV per atom) = -1.3404

=====

No. 2
Entry from Alexandria via LeMat-Bulk: crystalline CsLi2MoCl8 at its relaxed geometry (GGA-PBE).

abc: 6.3845 6.4449 9.4803
angles: 83.77 83.01 69.85
Atoms (fractional coordinates):
Cs  0.0000  0.0000  0.0000
Li  0.4979  0.4937  0.8402
Li  0.5021  0.5063  0.1598
Mo  0.0000  0.0000  0.5000
Cl  0.1999  0.7351  0.6745
Cl  0.2052  0.2221  0.5236
Cl  0.2742  0.8180  0.3186
Cl  0.3312  0.3370  0.0326
Cl  0.6688  0.6630  0.9674
Cl  0.7258  0.1820  0.6814
Cl  0.7948  0.7779  0.4764
Cl  0.8001  0.2649  0.3255

Values from the calculation:
- M_tot (μB per formula unit) = 1.00
- SG = P-1
- calculated volume (Å³/atom) = 30.21
- E_form (uncorrected) (eV per atom) = -1.2807

* * * * *

Entry 1:
## YZnRh (GGA-PBE)

Data for a relaxed YZnRh crystal.

Cell and atoms, written as extended XYZ:
```
3
Lattice="-1.7123 1.7123 4.8088 1.7123 -1.7123 4.8088 1.7123 1.7123 -4.8088" Properties=species:S:1:pos:R:3 pbc="T T T"
Y 0.0000 0.0000 0.0000
Zn 0.0000 0.0000 2.9103
Rh 0.0000 0.0000 6.5096
```

Properties
The value obtained for the theoretical density is 7574 kg/m³. The calculation puts the volume at 18.798 Å³ per atom. For the uncorrected energy, the calculation gives -5.58 eV/atom. Its formation energy is -0.547 eV per atom. As for the space group: No. 107. The density of states at the Fermi level is 2.18 states/eV per cell.

Entry 2:
## Y8Zn2Rh (GGA-PBE)

Data for a relaxed Y8Zn2Rh crystal.

Cell and atoms, written as extended XYZ:
```
11
Lattice="3.7489 -8.0250 0.0000 3.7489 8.0250 0.0000 -3.2995 0.0000 5.1342" Properties=species:S:1:pos:R:3 pbc="T T T"
Y 0.0000 0.0000 0.0000
Y 2.0789 6.1208 2.7070
Y 2.8417 1.8423 0.9673
Y 1.1996 0.0000 3.3760
Y 2.6242 3.1415 4.4581
Y 2.8417 -1.8423 0.9673
Y 2.0789 -6.1208 2.7070
Y 2.6242 -3.1415 4.4581
Zn 0.5788 3.5914 1.8353
Zn 0.5788 -3.5914 1.8353
Rh 4.9606 0.0000 0.8940
```

Properties
The value obtained for the theoretical density is 5079 kg/m³. The calculation puts the volume at 28.084 Å³ per atom. For the uncorrected energy, the calculation gives -5.81 eV/atom. The distance to the lowest polymorph of the same formula is 0.062 eV/atom. Its formation energy is -0.209 eV per atom. As for the space group: No. 8. The density of states at the Fermi level is 13.42 states/eV per cell.

> The highest theoretical density belongs to which entry?

YZnRh

* * * * *

(1)
+++
**Here the entry continues**


So sorry for not being able to update my current fan fiction with Harry Potter, school has started up and I am a senior. Being said I also have a showcase this Saturday, so things might  be even more complicated, the showcase is for my (maybe) acting career. I still want to thank every one of my readers and followers if they read this.